'''
# 1
{
  "formula": "C25H39Br14N2OS",
  "method": "the ωB97M-V functional and the def2-TZVPD basis",
  "lumo_energy_ev": -3.817,
  "e_homo_ev": -11.41,
  "orbital_gap_ha": 0.2792,
  "charge": 1,
  "elements": ["C", "C", "C", "C", "C", "C", "C", "S", "N", "C", "C", "C", "N", "C", "O", "H", "H", "H", "H", "H", "H", "H", "H", "H", "H", "H", "Br", "C", "C", "Br", "H", "H", "H", "H", "Br", "C", "C", "Br", "H", "H", "H", "H", "Br", "C", "C", "Br", "H", "H", "H", "H", "Br", "C", "C", "Br", "H", "H", "H", "H", "Br", "C", "C", "Br", "H", "H", "H", "H", "Br", "C", "C", "Br", "H", "H", "H", "H", "Br", "C", "C", "Br", "H", "H", "H", "H"],
  "xyz": [[5.4920, -2.5604, 1.0969], [4.8222, -2.0211, 0.2205], [3.8645, -1.2819, -0.8023], [2.8884, -0.3939, 0.1062], [3.5397, 0.8013, 0.7945], [2.6630, 1.6300, 1.6831], [1.2082, 1.2315, 1.8251], [0.2063, 2.2988, 2.9599], [0.6536, 0.1114, 1.1582], [-0.8028, -0.1957, 1.4073], [-0.9876, -0.8238, 2.8788], [1.4409, -0.7151, 0.3048], [0.8374, -1.8678, -0.3836], [1.2727, -2.9815, 0.1332], [1.9425, -4.0463, 0.3042], [5.8429, -2.8171, 2.1366], [4.5116, -0.5418, -1.3620], [3.3026, -1.9987, -1.4669], [4.6372, 1.0271, 0.6607], [3.1115, 2.5032, 2.2313], [0.8520, 2.1422, 4.1852], [-1.2076, -0.9410, 0.6574], [-1.3736, 0.7728, 1.3096], [0.0106, -0.9365, 3.4226], [-1.5940, -0.1123, 3.5321], [-1.5410, -1.8184, 2.8316], [-1.0000, -6.8016, -3.5324], [-1.6796, -5.1385, -2.7782], [-0.6185, -4.0658, -2.7787], [0.6783, -4.3434, -1.3399], [-2.0574, -5.3716, -1.7833], [-2.5142, -4.8550, -3.4212], [-1.0602, -3.0870, -2.5759], [-0.0548, -4.0185, -3.7100], [6.3117, 0.6654, -4.4827], [4.4667, 1.1166, -4.9122], [4.0279, 2.3673, -4.1950], [3.6457, 2.0069, -2.3171], [3.8615, 0.2448, -4.6675], [4.4549, 1.2700, -5.9914], [3.0905, 2.7397, -4.6096], [4.7714, 3.1619, -4.2205], [-3.9354, -3.8154, -6.5575], [-4.8534, -5.4947, -6.1891], [-6.0806, -5.2740, -5.3411], [-5.6041, -4.9688, -3.4770], [-4.1251, -6.1595, -5.7267], [-5.1287, -5.8887, -7.1677], [-6.7068, -6.1666, -5.3322], [-6.6778, -4.4211, -5.6596], [-1.5616, 5.8367, 3.4035], [-1.9667, 6.0145, 1.5057], [-2.9633, 4.9759, 1.0581], [-2.1199, 3.2302, 0.8527], [-1.0189, 5.9589, 0.9725], [-2.3820, 7.0167, 1.3965], [-3.3556, 5.2199, 0.0704], [-3.7933, 4.8473, 1.7513], [-3.4029, 2.2278, 4.2856], [-3.4129, 2.1080, 6.2316], [-2.1289, 2.6343, 6.8175], [-0.6773, 1.3477, 6.6113], [-3.6066, 1.0670, 6.4852], [-4.2584, 2.7179, 6.5497], [-2.2290, 2.7794, 7.8935], [-1.7961, 3.5648, 6.3597], [-3.1712, 0.5251, 9.7761], [-5.0299, 0.0432, 10.1115], [-5.8954, 0.3233, 8.9095], [-6.2808, 2.2264, 8.7420], [-5.3421, 0.5857, 11.0023], [-5.0107, -1.0249, 10.3302], [-6.8694, -0.1549, 9.0177], [-5.4431, 0.0071, 7.9707], [8.4407, 0.6026, -7.5897], [6.8142, 1.2042, -8.4759], [6.7828, 2.7067, -8.6033], [6.3286, 3.5535, -6.9068], [5.9760, 0.8025, -7.9082], [6.8379, 0.7360, -9.4603], [5.9983, 3.0179, -9.2940], [7.7324, 3.1308, -8.9253]],
'''

Repeat the part of the lines earlier on that starts with the line with "the def2-TZVPD" and stops after the one with "elements", please.

  "method": "the ωB97M-V functional and the def2-TZVPD basis",
  "lumo_energy_ev": -3.817,
  "e_homo_ev": -11.41,
  "orbital_gap_ha": 0.2792,
  "charge": 1,
  "elements": ["C", "C", "C", "C", "C", "C", "C", "S", "N", "C", "C", "C", "N", "C", "O", "H", "H", "H", "H", "H", "H", "H", "H", "H", "H", "H", "Br", "C", "C", "Br", "H", "H", "H", "H", "Br", "C", "C", "Br", "H", "H", "H", "H", "Br", "C", "C", "Br", "H", "H", "H", "H", "Br", "C", "C", "Br", "H", "H", "H", "H", "Br", "C", "C", "Br", "H", "H", "H", "H", "Br", "C", "C", "Br", "H", "H", "H", "H", "Br", "C", "C", "Br", "H", "H", "H", "H"],